Entries =
<<<
ReTc2F2 after structural relaxation, computed with PBE.

- SG = P4/mbm, No. 127
- distance to the lowest polymorph of the same formula (meV per atom) = 0.0
- ΔE_f (raw) (eV per atom) = 0.28

a b c (Å): 7.1929 7.1929 2.4883
angles (deg): 90.00 90.00 90.00
Sites, in units of the cell vectors:
Re 0.0000 0.0000 0.0000
Re 0.5000 0.5000 0.0000
Tc 0.1849 0.6849 0.5000
Tc 0.6849 0.8151 0.5000
Tc 0.8151 0.3151 0.5000
Tc 0.3151 0.1849 0.5000
F 0.3900 0.8900 0.0000
F 0.8900 0.6100 0.0000
F 0.6100 0.1100 0.0000
F 0.1100 0.3900 0.0000

***

AcCd8Au4 after structural relaxation, computed with PBE.

- SG = I4/mmm, No. 139
- energy of formation (eV/atom) = -0.2553

a b c (Å): 5.6413 7.6671 7.6671
angles (deg): 82.22 68.41 68.41
Sites, in units of the cell vectors:
Ac 0.0000 0.0000 0.0000
Cd 0.0000 0.3521 0.6479
Cd 0.0000 0.6479 0.3521
Cd 0.3521 0.6479 0.6479
Cd 0.6479 0.3521 0.3521
Cd 0.5000 0.7830 0.2170
Cd 0.5000 0.2170 0.7830
Cd 0.2830 0.2170 0.2170
Cd 0.7170 0.7830 0.7830
Au 0.0000 0.0000 0.5000
Au 0.5000 0.0000 0.5000
Au 0.0000 0.5000 0.0000
Au 0.5000 0.5000 0.0000

***

Mn2InSe after structural relaxation, computed with PBE.

- SG = R-3m, No. 166
- distance to the lowest polymorph of the same formula (meV per atom) = 44.3
- ΔE_f (raw) (eV per atom) = 0.07

a b c (Å): 7.6368 7.6368 7.6368
angles (deg): 26.60 26.60 26.60
Sites, in units of the cell vectors:
In 0.7500 0.7500 0.7500
Mn 0.9896 0.9896 0.9896
Mn 0.5104 0.5104 0.5104
Se 0.2500 0.2500 0.2500

***

BiAuI2O after structural relaxation, computed with PBE.

- SG = P4/mmm, No. 123
- distance to the lowest polymorph of the same formula (meV per atom) = 0.0
- ΔE_f (raw) (eV per atom) = 0.09

a b c (Å): 6.2021 6.2021 4.2686
angles (deg): 90.00 90.00 90.00
Sites, in units of the cell vectors:
I 0.0000 0.5000 0.0000
I 0.5000 0.0000 0.0000
Au 0.5000 0.5000 0.5000
Bi 0.0000 0.0000 0.0000
O 0.0000 0.0000 0.5000

***

no.,electronic total energy (eV per atom)
1,-7.107
2,-2.143
3,-6.070
4,-2.958

~~~~~

Entry 1:
A relaxed structure of Ca2TlSn2. Source: the Alexandria database, functional PBE.

Summary:
Energy of formation = -1.4 eV/f.u.

The structure in POSCAR format:
```
Ca2TlSn2
1.0
-2.114 2.114 8.895
2.114 -2.114 8.895
2.114 2.114 -8.895
Ca Tl Sn
2 1 2
Cartesian
0.000 0.000 1.835
0.000 0.000 15.956
0.000 0.000 8.895
2.114 0.000 4.448
0.000 2.114 4.448
```

=====

Entry 2:
A relaxed structure of CaTl3Sn3. Source: the Alexandria database, functional PBE.

Summary:
Offset from the most stable computed form = 0.448 eV per atom
Energy of formation = 2.2 eV/f.u.

The structure in POSCAR format:
```
CaTl3Sn3
1.0
8.219 0.000 0.000
0.000 8.219 0.000
0.000 0.000 8.219
Ca Tl Sn
2 6 6
Cartesian
0.000 0.000 0.000
4.110 4.110 4.110
0.000 2.055 4.110
0.000 6.164 4.110
2.055 4.110 0.000
4.110 0.000 2.055
4.110 0.000 6.164
6.164 4.110 0.000
0.000 4.110 2.055
0.000 4.110 6.164
2.055 0.000 4.110
4.110 2.055 0.000
4.110 6.164 0.000
6.164 0.000 4.110
```

=====

Entry 3:
A relaxed structure of Ca4TlSn12. Source: the Alexandria database, functional PBE.

Summary:
Energy of formation = -4.4 eV/f.u.

The structure in POSCAR format:
```
Ca4TlSn12
1.0
-4.982 4.982 4.982
4.982 -4.982 4.982
4.982 4.982 -4.982
Ca Tl Sn
4 1 12
Cartesian
2.491 2.491 -2.491
2.491 -2.491 2.491
-2.491 2.491 2.491
2.491 2.491 2.491
0.000 0.000 0.000
3.054 0.000 0.000
6.909 0.000 0.000
4.982 2.491 0.000
4.982 0.000 2.491
0.000 3.054 0.000
0.000 0.000 3.054
2.491 4.982 0.000
2.491 0.000 4.982
0.000 6.909 0.000
0.000 0.000 6.909
0.000 4.982 2.491
0.000 2.491 4.982
```

=====

Entry 4:
A relaxed structure of CaTlSn2. Source: the Alexandria database, functional PBE.

Summary:
Energy of formation = -0.9 eV/f.u.

The structure in POSCAR format:
```
CaTlSn2
1.0
4.058 0.000 0.000
0.000 4.058 0.000
0.000 0.000 6.968
Ca Tl Sn
1 1 2
Cartesian
0.000 0.000 0.000
0.000 0.000 3.484
2.029 2.029 1.880
2.029 2.029 5.089
```

=====

Entry 5:
A relaxed structure of Ca2TlSn9. Source: the Alexandria database, functional PBE.

Summary:
>>>

What to do =
Now filter the calculation results further up: keep the lines with the word "Tc".

Outcome =
Tc 0.1849 0.6849 0.5000
Tc 0.6849 0.8151 0.5000
Tc 0.8151 0.3151 0.5000
Tc 0.3151 0.1849 0.5000